File:
+++
Entry 1:
Computed, not measured: 2 unconnected molecules or ions with the total composition C5H8NO at a distorted geometry, with ωB97M-V/def2-TZVPD.

Structure (XYZ):
```
15
Properties=species:S:1:pos:R:3:forces:R:3
C 1.2493 -0.8945 -0.6556 -1.19 -0.85 -0.52
C -0.2932 -0.1992 2.0037 0.90 2.73 0.43
C 0.5931 1.5875 0.5313 -0.59 0.61 0.84
C 0.1014 -0.9142 -1.0260 0.60 -0.34 -1.42
C -1.2552 -0.8623 -1.5715 1.13 -2.47 0.92
N 0.1655 0.5180 1.0542 -1.12 -1.32 2.13
O 1.3133 1.7680 -0.4983 -0.11 2.90 0.34
H 1.6793 1.0592 -1.0018 0.13 -1.84 -0.50
H 2.0528 -0.9971 -0.0047 1.25 -0.22 0.36
H -1.3415 -0.3987 2.0943 -0.49 -0.80 -0.65
H 0.2733 -0.2448 2.9477 0.20 -0.62 -0.67
H 0.2095 2.4821 1.0739 0.63 -0.29 -0.79
H -1.6763 0.0255 -1.1995 -1.18 1.16 -0.36
H -1.7494 -1.7434 -1.1496 -0.35 0.28 0.59
H -1.3218 -1.1860 -2.5983 0.20 1.07 -0.70
```
Positions in Å, forces in eV/Å.

Properties
LUMO energy: -0.191 hartree
Kohn-Sham gap: 0.3347 hartree
ΔE to the lowest compared entry with this formula, charge and spin: 388.5 kJ/mol
Molecular weight: 98.12 Da
Total charge: +1
E_HOMO: -14.316 eV

Entry 2:
Computed, not measured: a single C4H8ClNO molecule, with ωB97M-V/def2-TZVPD.

Structure (XYZ):
```
15
Properties=species:S:1:pos:R:3:forces:R:3
C -0.5212 0.1252 -0.7445 -0.22 -0.34 -0.12
C -0.1122 1.1870 0.3004 0.15 -0.20 0.00
C 1.0132 0.2068 0.7603 0.54 0.44 -0.61
C 0.8927 -0.4759 -0.6426 0.44 0.67 0.04
H -1.7621 -1.5688 -0.7224 0.28 0.37 0.20
H -2.2819 -0.3750 0.2949 0.69 -0.14 -0.46
H -0.7817 0.4106 -1.7661 -0.29 0.25 0.16
H -0.8498 1.5238 1.0313 -0.02 -0.28 0.02
H 0.3216 2.0690 -0.1558 0.09 0.07 -0.20
H 1.9853 0.6554 0.9909 -0.20 -0.12 -0.08
H -0.1858 -0.9914 1.5487 -0.70 -0.49 -0.04
H 1.0257 -1.5410 -0.7343 -0.10 -0.32 0.20
N -1.4405 -0.8249 -0.0973 -0.81 0.03 0.01
O 0.6784 -0.6602 1.7854 0.42 0.10 0.64
Cl 2.0182 0.2596 -1.8488 -0.26 -0.05 0.24
```
Positions in Å, forces in eV/Å.

Properties
LUMO energy: 0.031 hartree
SMILES: N[C@H]1C[C@@H](O)[C@@H]1Cl
Kohn-Sham gap: 0.3873 hartree
ΔE to the lowest compared entry with this formula, charge and spin: 65.9 kJ/mol
Molecular weight: 121.57 Da
E_HOMO: -9.694 eV

Entry 3:
Computed, not measured: a molecular structure, C4H5BrO at a distorted geometry, with ωB97M-V/def2-TZVPD.

Structure (XYZ):
```
11
Properties=species:S:1:pos:R:3:forces:R:3
C 1.2040 2.1794 0.3320 0.02 -0.25 -0.22
C 1.0201 1.1662 -0.2198 0.63 -2.29 -1.17
C 0.9096 -0.1501 -0.6808 -5.00 -1.40 1.69
C -0.7682 -0.7045 0.3074 2.27 -0.30 -0.46
O -1.0606 -1.9843 -0.1078 -1.50 -0.83 -0.41
Br -2.0134 0.7447 0.0493 -0.63 -0.12 -0.61
H 1.2745 3.0713 0.7343 0.39 3.74 1.74
H 0.3389 -0.3334 -1.5661 0.40 0.19 -0.98
H 1.6689 -0.8516 -0.4738 0.78 -0.63 0.30
H -0.6841 -0.6762 1.3739 0.80 0.12 0.57
H -1.8897 -2.4615 0.2514 1.84 1.78 -0.45
```
Positions in Å, forces in eV/Å.

Properties
LUMO energy: 0.021 hartree
Kohn-Sham gap: 0.3585 hartree
ΔE to the lowest compared entry with this formula, charge and spin: 313.6 kJ/mol
Molecular weight: 148.99 Da
E_HOMO: -9.177 eV

Entry 4:
Computed, not measured: a molecular structure, C21H44GeN4O7SSi3Y at a distorted geometry, with ωB97M-V/def2-TZVPD.

Structure (XYZ):
```
82
Properties=species:S:1:pos:R:3:forces:R:3
Y 0.8497 -1.0736 -0.1673 0.38 0.11 0.27
N 0.0100 -3.2739 -0.7580 -0.14 -0.09 -0.01
C 0.0366 -4.1613 0.4301 -0.02 0.01 -0.10
C 0.8287 -3.5100 1.5685 -0.02 -0.04 0.04
O 1.6242 -4.1578 2.2197 0.01 0.02 0.02
O 0.5848 -2.2381 1.7164 -0.07 0.13 -0.33
H -0.8760 -3.3603 -1.2448 0.00 0.00 0.02
H 0.7386 -3.5109 -1.4486 0.05 0.09 -0.01
H 0.4487 -5.1414 0.1991 0.05 0.01 0.03
H -0.9824 -4.2980 0.7929 0.00 -0.01 0.00
C 2.2699 2.1654 -3.2663 -0.02 0.01 -0.03
C 1.9413 0.9572 -2.4564 -0.06 -0.06 -0.05
N 1.4084 0.9762 -1.2856 -0.28 -0.03 0.13
O 1.1182 2.1712 -0.6780 -2.54 -2.66 -0.41
C 2.2190 -0.3812 -3.0267 -0.13 -0.09 0.08
C 2.9441 -0.5662 -4.3173 0.01 0.00 0.00
N 1.8036 -1.3870 -2.3140 0.04 0.02 -0.01
O 2.0329 -2.6191 -2.6619 0.05 -0.15 -0.05
H 1.6599 2.1545 -4.1734 0.03 0.01 -0.02
H 3.3142 2.1309 -3.5798 0.02 0.01 -0.01
+++
Request:
Find "0.5313 -0.59" and "0.01 -0.10" in the calculation results above, and return these two lines and those between.
Completed:
C 0.5931 1.5875 0.5313 -0.59 0.61 0.84
C 0.1014 -0.9142 -1.0260 0.60 -0.34 -1.42
C -1.2552 -0.8623 -1.5715 1.13 -2.47 0.92
N 0.1655 0.5180 1.0542 -1.12 -1.32 2.13
O 1.3133 1.7680 -0.4983 -0.11 2.90 0.34
H 1.6793 1.0592 -1.0018 0.13 -1.84 -0.50
H 2.0528 -0.9971 -0.0047 1.25 -0.22 0.36
H -1.3415 -0.3987 2.0943 -0.49 -0.80 -0.65
H 0.2733 -0.2448 2.9477 0.20 -0.62 -0.67
H 0.2095 2.4821 1.0739 0.63 -0.29 -0.79
H -1.6763 0.0255 -1.1995 -1.18 1.16 -0.36
H -1.7494 -1.7434 -1.1496 -0.35 0.28 0.59
H -1.3218 -1.1860 -2.5983 0.20 1.07 -0.70
```
Positions in Å, forces in eV/Å.

Properties
LUMO energy: -0.191 hartree
Kohn-Sham gap: 0.3347 hartree
ΔE to the lowest compared entry with this formula, charge and spin: 388.5 kJ/mol
Molecular weight: 98.12 Da
Total charge: +1
E_HOMO: -14.316 eV

Entry 2:
Computed, not measured: a single C4H8ClNO molecule, with ωB97M-V/def2-TZVPD.

Structure (XYZ):
```
15
Properties=species:S:1:pos:R:3:forces:R:3
C -0.5212 0.1252 -0.7445 -0.22 -0.34 -0.12
C -0.1122 1.1870 0.3004 0.15 -0.20 0.00
C 1.0132 0.2068 0.7603 0.54 0.44 -0.61
C 0.8927 -0.4759 -0.6426 0.44 0.67 0.04
H -1.7621 -1.5688 -0.7224 0.28 0.37 0.20
H -2.2819 -0.3750 0.2949 0.69 -0.14 -0.46
H -0.7817 0.4106 -1.7661 -0.29 0.25 0.16
H -0.8498 1.5238 1.0313 -0.02 -0.28 0.02
H 0.3216 2.0690 -0.1558 0.09 0.07 -0.20
H 1.9853 0.6554 0.9909 -0.20 -0.12 -0.08
H -0.1858 -0.9914 1.5487 -0.70 -0.49 -0.04
H 1.0257 -1.5410 -0.7343 -0.10 -0.32 0.20
N -1.4405 -0.8249 -0.0973 -0.81 0.03 0.01
O 0.6784 -0.6602 1.7854 0.42 0.10 0.64
Cl 2.0182 0.2596 -1.8488 -0.26 -0.05 0.24
```
Positions in Å, forces in eV/Å.

Properties
LUMO energy: 0.031 hartree
SMILES: N[C@H]1C[C@@H](O)[C@@H]1Cl
Kohn-Sham gap: 0.3873 hartree
ΔE to the lowest compared entry with this formula, charge and spin: 65.9 kJ/mol
Molecular weight: 121.57 Da
E_HOMO: -9.694 eV

Entry 3:
Computed, not measured: a molecular structure, C4H5BrO at a distorted geometry, with ωB97M-V/def2-TZVPD.

Structure (XYZ):
```
11
Properties=species:S:1:pos:R:3:forces:R:3
C 1.2040 2.1794 0.3320 0.02 -0.25 -0.22
C 1.0201 1.1662 -0.2198 0.63 -2.29 -1.17
C 0.9096 -0.1501 -0.6808 -5.00 -1.40 1.69
C -0.7682 -0.7045 0.3074 2.27 -0.30 -0.46
O -1.0606 -1.9843 -0.1078 -1.50 -0.83 -0.41
Br -2.0134 0.7447 0.0493 -0.63 -0.12 -0.61
H 1.2745 3.0713 0.7343 0.39 3.74 1.74
H 0.3389 -0.3334 -1.5661 0.40 0.19 -0.98
H 1.6689 -0.8516 -0.4738 0.78 -0.63 0.30
H -0.6841 -0.6762 1.3739 0.80 0.12 0.57
H -1.8897 -2.4615 0.2514 1.84 1.78 -0.45
```
Positions in Å, forces in eV/Å.

Properties
LUMO energy: 0.021 hartree
Kohn-Sham gap: 0.3585 hartree
ΔE to the lowest compared entry with this formula, charge and spin: 313.6 kJ/mol
Molecular weight: 148.99 Da
E_HOMO: -9.177 eV

Entry 4:
Computed, not measured: a molecular structure, C21H44GeN4O7SSi3Y at a distorted geometry, with ωB97M-V/def2-TZVPD.

Structure (XYZ):
```
82
Properties=species:S:1:pos:R:3:forces:R:3
Y 0.8497 -1.0736 -0.1673 0.38 0.11 0.27
N 0.0100 -3.2739 -0.7580 -0.14 -0.09 -0.01
C 0.0366 -4.1613 0.4301 -0.02 0.01 -0.10